What went wrong?

What went wrong?
>inb4 niggers
No seriously, what mistakes were made here?

it's battlefield, it was doomed to be shit

>Having several different weapons that are just the same weapon with a different scope or modification
>DLC fragmenting the community once more

>tfw you're maining Martini-Henry/Kolobri
I love this game.


It's a fantasy game using world war 1 skins as a gimmick to sell copies. They had no interest in the history of world war 1.

German Niggers, or just niggers in general.
I'm actually finding it extremely fun now that I've started getting good at it

niggers (and just more of the same gameplay but dumbed down even more)

-- Here the text breaks off for crystal structures --
- - -
1.
# SrP4, optimized geometry, DFT PBE-GGA
# DOS at the Fermi energy ... 0.00 states/eV/f.u.
# Energy above the most stable polymorph in this dataset ... 0.00 eV/f.u.
# Formation energy ... -0.47 eV/atom
# Theoretical density ... 2.73 Mg/m³
data_SrP4
_cell_length_a 5.3541
_cell_length_b 6.0837
_cell_length_c 7.9749
_cell_angle_alpha 97.43
_cell_angle_beta 90.00
_cell_angle_gamma 90.00
_space_group_name_H-M_alt 'P 1'
_space_group_IT_number 1
loop_
_space_group_symop_operation_xyz
'x,y,z'
loop_
_atom_site_label
_atom_site_fract_x
_atom_site_fract_y
_atom_site_fract_z
_atom_site_occupancy
Sr1 0.0000 0.0000 0.0000 1
Sr2 0.5000 0.0000 0.5000 1
P1 0.2897 0.3047 0.2623 1
P2 0.7897 0.6953 0.2377 1
P3 0.7103 0.6953 0.7377 1
P4 0.2103 0.3047 0.7623 1
P5 0.9127 0.4080 0.6044 1
P6 0.4127 0.5920 0.8956 1
P7 0.0873 0.5920 0.3956 1
P8 0.5873 0.4080 0.1044 1

***

2.
# Sr5P, optimized geometry, DFT PBE-GGA
# DOS at the Fermi energy ... 8.77 states/eV/f.u.
# Energy above the most stable polymorph in this dataset ... 5.29 eV/f.u.
# Formation energy ... 0.56 eV/atom
# Theoretical density ... 2.48 Mg/m³
data_Sr5P
_cell_length_a 7.2229
_cell_length_b 7.2229
_cell_length_c 6.9392
_cell_angle_alpha 90.00
_cell_angle_beta 90.00
_cell_angle_gamma 120.00
_space_group_name_H-M_alt 'P 1'
_space_group_IT_number 1
loop_
_space_group_symop_operation_xyz
'x,y,z'
loop_
_atom_site_label
_atom_site_fract_x
_atom_site_fract_y
_atom_site_fract_z
_atom_site_occupancy
Sr1 0.3333 0.6667 0.0000 1
Sr2 0.6667 0.3333 0.0000 1
Sr3 0.5000 0.0000 0.5000 1
Sr4 0.0000 0.5000 0.5000 1
Sr5 0.5000 0.5000 0.5000 1
P1 0.0000 0.0000 0.0000 1

***

3.
# SrP, optimized geometry, DFT PBE-GGA
# DOS at the Fermi energy ... 1.85 states/eV/f.u.
# Formation energy ... -0.05 eV/atom
# Theoretical density ... 3.99 Mg/m³
data_SrP
_cell_length_a 5.1876
_cell_length_b 5.1876
_cell_length_c 5.1876
_cell_angle_alpha 60.00
_cell_angle_beta 60.00
_cell_angle_gamma 60.00
_space_group_name_H-M_alt 'P 1'
_space_group_IT_number 1
loop_
_space_group_symop_operation_xyz
'x,y,z'
loop_
_atom_site_label
_atom_site_fract_x
_atom_site_fract_y
_atom_site_fract_z
_atom_site_occupancy
Sr1 0.0000 0.0000 0.0000 1
Sr2 0.2500 0.2500 0.2500 1
P1 0.5000 0.5000 0.5000 1
P2 0.7500 0.7500 0.7500 1

***

4.
# SrP, optimized geometry, DFT PBE-GGA
# DOS at the Fermi energy ... 2.37 states/eV/f.u.
# Formation energy ... -0.49 eV/atom
# Theoretical density ... 3.17 Mg/m³
data_SrP
_cell_length_a 8.1508
_cell_length_b 8.1508
_cell_length_c 8.1508
_cell_angle_alpha 30.58
_cell_angle_beta 30.58
_cell_angle_gamma 30.58
_space_group_name_H-M_alt 'P 1'
_space_group_IT_number 1
loop_
_space_group_symop_operation_xyz
'x,y,z'
loop_
_atom_site_label
_atom_site_fract_x
_atom_site_fract_y
_atom_site_fract_z
_atom_site_occupancy
Sr1 0.4153 0.4153 0.4153 1
Sr2 0.5847 0.5847 0.5847 1
P1 0.8312 0.8312 0.8312 1
P2 0.1688 0.1688 0.1688 1

***

5.
# SrP, optimized geometry, DFT PBE-GGA
# Formation energy ... -1.05 eV/atom
# Theoretical density ... 3.44 Mg/m³
- - -

Are you sure it wasn't the transplanted negros?

How do you think a Zulu game, featuring white men as tribe mates, would sell?

Slow updates, poor weapon balance, overpowered tanks, no team autobalance which leads to games that are 32v18

>actually being good at a game
I mean,,,,,,,,,,,

>What went wrong?
Shitter devs pandering to progressives. Also all the inaccuracies with the guns compared to what was actually used.

its not 2143 or bfbc3

Calculated crystals, kept here for reference =
This record from the Alexandria database describes a geometry-optimized PaVNiO6 structure. The functional is PBE with a Hubbard U.

Cell lengths 5.3781, 5.3781, 8.6304 Å; angles 90.00, 90.00, 120.00 degrees
Atoms (fractional coordinates):
O (0.6349, 0.6728, 0.6307)
O (0.3651, 0.0379, 0.1307)
O (0.6728, 0.0379, 0.3693)
O (0.0379, 0.3651, 0.6307)
O (0.3272, 0.9621, 0.6307)
O (0.3651, 0.3272, 0.3693)
O (0.9621, 0.6349, 0.3693)
O (0.3272, 0.3651, 0.8693)
O (0.6728, 0.6349, 0.1307)
O (0.9621, 0.3272, 0.1307)
O (0.6349, 0.9621, 0.8693)
O (0.0379, 0.6728, 0.8693)
Pa (0.3333, 0.6667, 0.2500)
Pa (0.6667, 0.3333, 0.7500)
Ni (0.0000, 0.0000, 0.5000)
Ni (0.0000, 0.0000, 0.0000)
V (0.6667, 0.3333, 0.2500)
V (0.3333, 0.6667, 0.7500)

Properties
**Total moment**: 2.007 μB per formula unit
**E**: -69.2 eV/f.u.

----------

Record 1
PmInGaPt, relaxed, DFT GGA-PBE; DFT formation energy = -655 meV/atom
1.0
6.9816 0.0000 0.0000
0.0000 6.9816 0.0000
0.0000 0.0000 6.9816
Pm In Ga Pt
4 4 4 4
direct
0.0000 0.0000 0.0000 Pm
0.0000 0.5000 0.5000 Pm
0.5000 0.0000 0.5000 Pm
0.5000 0.5000 0.0000 Pm
0.0000 0.0000 0.5000 In
0.0000 0.5000 0.0000 In
0.5000 0.0000 0.0000 In
0.5000 0.5000 0.5000 In
0.2500 0.2500 0.2500 Ga
0.2500 0.7500 0.7500 Ga
0.7500 0.2500 0.7500 Ga
0.7500 0.7500 0.2500 Ga
0.2500 0.2500 0.7500 Pt
0.2500 0.7500 0.2500 Pt
0.7500 0.2500 0.2500 Pt
0.7500 0.7500 0.7500 Pt

***

Record 2
Pr2ErHg3, relaxed, DFT GGA-PBE; DFT formation energy = -469 meV/atom
1.0
3.7655 0.0000 0.0000
0.0000 3.7655 0.0000
0.0000 0.0000 11.6752
Pr Er Hg
2 1 3
direct
0.0000 0.0000 0.1726 Pr
0.0000 0.0000 0.8274 Pr
0.0000 0.0000 0.5000 Er
0.5000 0.5000 0.0000 Hg
0.5000 0.5000 0.3515 Hg
0.5000 0.5000 0.6485 Hg

***

Record 3
SmAlZn2Ag5, relaxed, DFT GGA-PBE; DFT formation energy = 54 meV/atom
1.0
4.9265 0.0000 0.0000
0.0000 4.9265 0.0000
0.0000 0.0000 7.4489
Sm Al Zn Ag
1 1 2 5
direct
0.0000 0.0000 0.0000 Sm
0.0000 0.0000 0.5000 Al
0.5000 0.5000 0.3431 Zn
0.5000 0.5000 0.6569 Zn
0.0000 0.5000 0.2668 Ag
0.0000 0.5000 0.7332 Ag
0.5000 0.0000 0.2668 Ag
0.5000 0.0000 0.7332 Ag
0.5000 0.5000 0.0000 Ag

***

Record 4
Y2TlCoPb, relaxed, DFT GGA-PBE; ΔE to the lowest computed polymorph = 0.0124 eV per atom; DFT formation energy = -174 meV/atom
1.0
5.1874 0.0000 0.0000
0.0000 5.1874 0.0000
0.0000 0.0000 4.9486
Y Tl Co Pb
2 1 1 1
direct
0.0000 0.5000 0.0000 Y
0.5000 0.0000 0.0000 Y
0.0000 0.0000 0.5000 Tl
0.5000 0.5000 0.0000 Co
0.5000 0.5000 0.5000 Pb

***

Record 5
DyY3Tl4S8, relaxed, DFT GGA-PBE; ΔE_f (raw) = -23.88 eV per formula unit
1.0
4.0350 2.3296 7.5190
-4.0350 2.3296 7.5190
0.0000 -4.6593 7.5190
Dy Y Tl S
1 3 4 8
direct
0.0000 0.0000 0.0000 Dy
0.0000 0.5000 0.5000 Y
0.5000 0.0000 0.5000 Y
0.5000 0.5000 0.0000 Y
0.0000 0.0000 0.5000 Tl
0.0000 0.5000 0.0000 Tl
0.5000 0.0000 0.0000 Tl
0.5000 0.5000 0.5000 Tl
0.2325 0.2325 0.7332 S
0.2325 0.7332 0.2325 S
0.2672 0.2672 0.2672 S
0.2668 0.7675 0.7675 S
0.7332 0.2325 0.2325 S
0.7328 0.7328 0.7328 S
0.7675 0.2668 0.7675 S
0.7675 0.7675 0.2668 S

***

what weapons are overpowered in this game

>swedish dev

Random bullet deviation
Vehicle spawn system
Weak infantry counters to vehicles
Operations mode focused maps
Conquest ticket system
Only 4 weapons per class with only 3 variations each, only one variation was any good
No customization outside of vehicle and weapon skins
Battle packs don't have any good rewards

Make your ancestors proud.

Hellriegel on console, it's auto-aim combined with slow damage drop make it very good at both short and mid-range. Model 10 hunter is somewhat OP in short-range, and the Martini-Henry is somewhat OP at long distance.

this, most real bf fans wanted either

[These calculated crystals were left in the piece by mistake]
- - -
# GGA-PBE CeGaF2, optimized geometry
data_CeGaF2
_space_group_name_H-M_alt 'R -3 m'
_space_group_IT_number 166
_space_group_name_Hall '-R 3 2"'
_cell_length_a 3.5523
_cell_length_b 3.5523
_cell_length_c 24.9341
_cell_angle_alpha 90.00
_cell_angle_beta 90.00
_cell_angle_gamma 120.00
loop_
_atom_site_label
_atom_site_type_symbol
_atom_site_fract_x
_atom_site_fract_y
_atom_site_fract_z
Ce1 Ce 0.0000 0.0000 0.0000
Ga1 Ga 0.0000 0.0000 0.5000
F1 F 0.0000 0.0000 0.0880
# **Magnetization**: 3.4 μB per cell
# **ΔE_f (raw)**: -1.81 eV/atom
# **V**: 272.5 Å³/cell

***

# GGA-PBE Ce2GaF, optimized geometry
data_Ce2GaF
_space_group_name_H-M_alt 'P 4/m m m'
_space_group_IT_number 123
_space_group_name_Hall '-P 4 2'
_cell_length_a 3.207
_cell_length_b 3.207
_cell_length_c 7.835
_cell_angle_alpha 90.00
_cell_angle_beta 90.00
_cell_angle_gamma 90.00
loop_
_atom_site_label
_atom_site_type_symbol
_atom_site_fract_x
_atom_site_fract_y
_atom_site_fract_z
Ce1 Ce 0.000 0.000 0.234
Ga1 Ga 0.500 0.500 0.500
F1 F 0.500 0.500 0.000
# **Magnetization**: 2.1 μB per cell
# **ΔE_f (raw)**: -1.20 eV/atom
# **Excess energy over the best structure of this formula in the dataset**: 99.2 meV per atom
# **V**: 80.6 Å³/cell

***

# GGA-PBE K2CeGaF8, optimized geometry
data_K2CeGaF8
_space_group_name_H-M_alt 'P 1 2/m 1'
_space_group_IT_number 10
_space_group_name_Hall '-P 2y'
_cell_length_a 4.717
_cell_length_b 7.178
_cell_length_c 6.053
_cell_angle_alpha 90.00
_cell_angle_beta 94.00
_cell_angle_gamma 90.00
loop_
_atom_site_label
_atom_site_type_symbol
_atom_site_fract_x
_atom_site_fract_y
_atom_site_fract_z
K1 K 0.000 0.228 0.000
Ce1 Ce 0.500 0.500 0.500
Ga1 Ga 0.500 0.000 0.500
F1 F 0.104 0.500 0.271
F2 F 0.173 0.000 0.317
F3 F 0.380 0.216 0.687
# **Magnetization**: 1.0 μB per cell
# **ΔE_f (raw)**: -3.11 eV/atom
# **V**: 204.5 Å³/cell

***

# GGA-PBE CeGd2F, optimized geometry
data_CeGd2F
_space_group_name_H-M_alt 'R -3 m'
_space_group_IT_number 166
_space_group_name_Hall '-R 3 2"'
_cell_length_a 3.5942
_cell_length_b 3.5942
_cell_length_c 26.4223
_cell_angle_alpha 90.00
_cell_angle_beta 90.00
_cell_angle_gamma 120.00
loop_
_atom_site_label
_atom_site_type_symbol
_atom_site_fract_x
_atom_site_fract_y
_atom_site_fract_z
Ce1 Ce 0.0000 0.0000 0.0000
Gd1 Gd 0.0000 0.0000 0.2296
F1 F 0.0000 0.0000 0.5000
# **Magnetization**: 41.6 μB per cell
# **ΔE_f (raw)**: -1.11 eV/atom
# **V**: 295.6 Å³/cell


The following is a DFT calculation (PBE+U) of crystalline TlCoO2 at its relaxed geometry.

Cell lengths 5.815, 5.815, 5.815 Å; angles 90.00, 90.00, 90.00 degrees
Sites, in units of the cell vectors:
Tl  0.000  0.000  0.000
Tl  0.000  0.500  0.500
Tl  0.500  0.000  0.500
Tl  0.500  0.500  0.000
Co  0.000  0.000  0.500
Co  0.000  0.500  0.000
Co  0.500  0.000  0.000
Co  0.500  0.500  0.500
O  0.250  0.250  0.250
O  0.250  0.250  0.750
O  0.250  0.750  0.250
O  0.250  0.750  0.750
O  0.750  0.250  0.250
O  0.750  0.250  0.750
O  0.750  0.750  0.250
O  0.750  0.750  0.750

Properties
- - -

Both of these. World War 1 was an awful setting, for a Battlefield game. WW2 would be the exact same shit. Great maps though, minus the desert ones. The game was doomed from lack of weapons, really poor balancing on them about trying to balance AAs and aircrafts, and splitting up the community ONCE AGAIN.

>names main mistake for many people
implementing negroes was a fail.
implementing SS woman of color into CoD WW2 is a megafail too.

which will be the setting of the next battlefield? place your bets gentlemen

I would say ww2 so they can port half of the bf1 weapons and asets

Aside from negroes being everywhere, the game just felt painfully average and not fitting to the setting at all. People running around with prototype automatic weapons isn't what WW1 was about.

just becuase you put
>inb4 niggers
doesn't mean it can't be the problem

>Updates are to few and far between.

>Poor weapon selection.

>DLC model is splitting the community.

All these things contribute to the fact that the gameplay feels stale and repetitive.
Shit about historical accuracy is window dressing and only autists care about it.

Think Op was just afraid of ">niggers" reply

>the same lag it have been since bf3
>only open maps so fun lol
>usual bullshit of "enemy can hit you from outside your map , and you can't see shit
thats what i gathered from playing the 10 free hours

Correct, but I'd still like some other criticism of the game.

my favorite was when launching the game at the start and seeing
>thsi game is based on real world stuff
or whatever shit it did say

There are a thousand things wrong with that game that has nothing to do with niggers.

Model 10A Hunter, MG14/17 Parabellum are clearly OP. Hellriegel and automatico are very strong but the other SMGs are still competitive. There's no real reason to use most of the self-loading rifles if you have the Federov Avtomat, unless you're trying to snipe. The SMLE probably has the best sweet spot of the repeating sniper rifles (i.e. not the Martini-Henry) on most maps. The best pistol is probably the 1911, which is available at the beginning of the game to all classes.